The North Star Fund Welcomes Kellie Terry as the new Philanthropy Programs Director The North Star Fund is thrilled to welcome Kellie Terry as North Star Fund's new Philanthropy Programs Director. Kellie’s working with the...
New analytical framework, developed based on input from dozens of foundations and nonprofit partners worldwide, enables funders to optimize how they achieve and evaluate impact
Calculated crystals, kept here for reference
/*
Density functional theory data (GGA-PBE) for a relaxed NdY2NpP4 crystal.

Structure (POSCAR):
```
NdY2NpP4
1.0
-2.6288 -0.2259 -3.0478
-5.2953 -0.1084 4.5754
1.4318 6.6115 -1.7250
Nd Y Np P
1 2 1 4
direct
0.0000 0.0000 0.0000 Nd
0.5000 0.0000 0.5000 Y
0.0000 0.5000 0.5000 Y
0.5000 0.5000 0.0000 Np
0.5000 0.2600 0.2525 P
0.5000 0.7400 0.7475 P
0.0000 0.2580 0.7517 P
0.0000 0.7420 0.2483 P
```

Output
Total energy: -7.93 eV per atom
Energy of formation: -1.40 eV per atom

Density functional theory data (GGA-PBE) for a relaxed NdNpPa crystal.

Structure (POSCAR):
```
NdNpPa
1.0
5.4112 0.0000 0.0000
0.0000 6.3596 0.0000
0.0000 0.0000 9.3704
Pa Nd Np
4 4 4
direct
0.2500 0.1258 0.9354 Pa
0.7500 0.3742 0.4354 Pa
0.7500 0.8742 0.0646 Pa
0.2500 0.6258 0.5646 Pa
0.2500 0.5689 0.1801 Nd
0.7500 0.4311 0.8199 Nd
0.2500 0.0689 0.3199 Nd
0.7500 0.9311 0.6801 Nd
0.7500 0.7680 0.3460 Np
0.7500 0.2680 0.1540 Np
0.2500 0.7320 0.8460 Np
0.2500 0.2320 0.6540 Np
```

Output
Total energy: -8.67 eV per atom
Energy of formation: 0.39 eV per atom

Density functional theory data (GGA-PBE) for a relaxed NdNp2PaSb4 crystal.

Structure (POSCAR):
```
NdNp2PaSb4
1.0
4.4296 0.0000 0.0000
0.0000 7.6879 0.1382
0.0000 -2.6791 7.1383
Nd Np Pa Sb
1 2 1 4
direct
0.0000 0.0000 0.0000 Nd
0.5000 0.0000 0.5000 Np
0.0000 0.5000 0.5000 Np
0.5000 0.5000 0.0000 Pa
0.5000 0.2567 0.2544 Sb
0.5000 0.7433 0.7456 Sb
0.0000 0.2541 0.7497 Sb
0.0000 0.7459 0.2503 Sb
```

Output
Raw formation energy: -0.51 eV per atom
Total energy: -7.59 eV per atom

Density functional theory data (GGA-PBE) for a relaxed Nd2NpPb crystal.

Structure (POSCAR):
```
Nd2NpPb
1.0
3.4127 0.0000 0.0000
1.7064 2.9555 0.0000
1.7064 0.9852 12.3358
Np Pb Nd
1 1 2
direct
0.0000 0.0000 0.0000 Np
0.5000 0.5000 0.5000 Pb
0.0902 0.0902 0.7295 Nd
0.9098 0.9098 0.2705 Nd
```

Output
Total energy: -6.20 eV per atom
Energy of formation: 0.35 eV per atom

Density functional theory data (GGA-PBE) for a relaxed Nd2Np2Pd15 crystal.

Structure (POSCAR):
```
Nd2Np2Pd15
1.0
7.0977 0.0913 0.0813
1.0113 7.0259 0.0813
1.0113 0.8876 6.9700
Nd Np Pd
2 2 15
direct
0.3545 0.3545 0.3545 Nd
0.6455 0.6455 0.6455 Nd
0.0820 0.0820 0.0820 Np
0.9180 0.9180 0.9180 Np
0.5000 0.0000 0.0000 Pd
0.0000 0.0000 0.5000 Pd
0.0000 0.5000 0.0000 Pd
0.0000 0.6812 0.3188 Pd
0.6812 0.3188 0.0000 Pd
0.3188 0.0000 0.6812 Pd
0.3188 0.6812 0.0000 Pd
0.6812 0.0000 0.3188 Pd
0.0000 0.3188 0.6812 Pd
0.1604 0.6594 0.6594 Pd
0.6594 0.6594 0.1604 Pd
0.6594 0.1604 0.6594 Pd
0.8396 0.3406 0.3406 Pd
0.3406 0.3406 0.8396 Pd
0.3406 0.8396 0.3406 Pd
```

Output
Total energy: -6.39 eV per atom
Energy of formation: -0.42 eV per atom

Density functional theory data (GGA-PBE) for a relaxed NdNp2Pd9 crystal.

Structure (POSCAR):
```
NdNp2Pd9
1.0
-0.4165 -3.7245 -1.8027
-0.6149 -1.7360 3.7287
-12.2815 1.9207 -1.1310
Nd Np Pd
1 2 9
direct
0.0000 0.0000 0.0000 Nd
0.0000 0.0000 0.3343 Np
0.0000 0.0000 0.6657 Np
0.5000 0.5000 0.0000 Pd
0.5000 0.5000 0.3354 Pd
0.5000 0.5000 0.6646 Pd
*/
This new funding will allow Crisis Group to help meet the growing demand for pragmatic recommendations and local insights into both regional and global issues fuelling violence, like climate injustice and economic inequality.
Data records from another source follow:
-- begin --
VASP calculation (GGA+U) on an optimized crystal structure of MnHg2F8.

Computed properties:
distance to the lowest polymorph of the same formula	0.611	eV per formula unit
total energy	-3.791	eV per atom
crystal system	trigonal

Lattice parameters (Å, degrees): 4.418 6.685 6.685 120.00 90.00 90.00
Each line ends with the local moment (μB).
Positions (direct):
Mn  0.500  0.000  0.000  3.03
Hg  0.724  0.667  0.333  -0.01
Hg  0.276  0.333  0.667  -0.01
F  0.777  0.333  0.667  -0.01
F  0.223  0.667  0.333  -0.01
F  0.264  0.132  0.264  -0.01
F  0.736  0.868  0.736  -0.01
F  0.736  0.264  0.132  -0.01
F  0.264  0.736  0.868  -0.01
F  0.264  0.132  0.868  -0.01
F  0.736  0.868  0.132  -0.01
-- stop --
The piece goes on:
The grants are going to nonprofit organizations supporting the arts, education, environment, informed communities, sector capacity building, and new Imagine a New Way and Momentum Fund grantees.
Please join us to hear updates on Title 42 and ongoing advocacy to restore the right to asylum in the U.S., how communities are scaling up humanitarian services and support for people arriving at the border, how advocates plan to counter anti-...
Join us for an interactive workshop to break down how to operationalize an oral and alternate reporting approach. During the session, we will focus on the nuts and bolts of implementing a new reporting method. We will begin to develop an Action Plan...
Join us for the launch of the Leadership Transitions Funders Group's Community of Practice approach and be a part of the next phase of this work to build on our learning to create a community of practice for leadership transitions. As philanthropy...
Here the entry breaks off for materials data
........
# GGA-PBE SmYNp2P4, optimized geometry
data_SmYNp2P4
_cell_length_a 6.933
_cell_length_b 4.002
_cell_length_c 6.943
_cell_angle_alpha 90.00
_cell_angle_beta 109.45
_cell_angle_gamma 90.00
_space_group_name_H-M_alt 'P 1 2/m 1'
_space_group_IT_number 10
_space_group_name_Hall '-P 2y'
loop_
_atom_site_label
_atom_site_type_symbol
_atom_site_fract_x
_atom_site_fract_y
_atom_site_fract_z
Sm1 Sm 0.000 0.000 0.000
Y1 Y 0.500 0.500 0.000
Np1 Np 0.000 0.500 0.500
Np2 Np 0.500 0.000 0.500
P1 P 0.250 0.000 0.740
P2 P 0.257 0.500 0.262
# Fermi-level density of states: 2.19 states/eV/atom
# Uncorrected energy: -8.5673 eV/atom
# ΔH_f (0 K): -1229 meV per atom
# V: 182 Å³/cell
# Calculated density: 7.65 g cm⁻³
........
Join your PACNET peers for our May workshop to reflect and connect with your peers and practice ways to navigate difficult conversations around power dynamics, implicit bias, and/or other areas. From negotiating promotions to navigating challenging...
Join us for a conversation to help funders and nonprofits better understand and communicate what it actually costs to run effective organizations that achieve their intended goals.
Join us to discuss the meaning and experience of college in prison, celebrate TAP restoration in New York State and what it took to get here, and how funders can sustain this work to increase access to higher education in prison.
Please join us for a conversation with Rohit Aggarwala, New York City’s Chief Climate Officer and Commissioner for the Department of Environmental Protection.
What if we held an election and everyone voted? Making voting a required civic duty for every citizen would make dramatic improvements in American democracy. What's philanthropy's role?